Thursday, October 16, 2014

Digital Nation

The documentary Digital Nation is mainly about how the world is technology prone today. It points out many things, but I will focus on family interactions with technology. In reality the brain is not made to multitask and people who think that they are good at it are not in reality. They are taking time away to do things that are not important and worry about other things when they should be working on only what needs to be done.
I can make numerous connections to this story to my everyday life. One connection that I can make is my ability to multitask. When I sit down to my work homework, I will be on my phone checking my messages, checking twitter and Instagram, listening to music, I will talk to the people around me and I will watch videos on YouTube. I can never do one thing at a time, because I get distracted easily. In the documentary, they said that people who multitask do not really move faster and that they are just constantly getting distracted by things and that their memory is disorganized. I have realized in myself that when I try to do homework while doing 100 other things, it does take me much longer to finish my work then it would if I were not doing anything besides my work. You have to focus on one thing at a time and make sure that thing is finished before you move on.

In South Korea the kids will play videogames all day for longs periods of times. Sometimes even a few days in a row and they will not take care of their selves. They will not eat anything or drink anything which will cause their body to shut down and they will die. This is taking playing games to an extreme level. The mother of the child who was playing the games all the time had to ask her son numerous times if he was going to help her out later on in the day. Students in South Korea begin to work with computers around the time they start to read. When I was growing up, I too was taught how to use a computer while in school, but this was not until I was in the 4th or 5th grade. In the recent years, children are starting to learn how to use a computer in kindergarten. Some schools even give the students iPads or tables for the school year. This shows how reliant we are on technology because we are teaching children how to work a computer at such young ages.

At a college the professor allowed the students to use their computers during his class because he wanted to see if they were really paying attention to what he was saying during the lecture and if they were doing the required readings that they had to do. Turns out that none of the kids were really paying attention during the lectures and not reading what they needed for the class. When it came in time for the midterms and test, the average score on them were in the low 70’s. This shows how technology can be a distraction at times. There are times when technology can be good and there are also times when technology should be forgotten about. Computers should not be used in the classroom unless the professor can see what is going on on all of the student’s screens, because they could be doing just about anything and not paying attention to what is going on in the class. You go to class to learn things not to just sit there and fool around on the computer. There is a place and time for technology.
In the video they were talking about how technology is a bad thing for us and that we should not be so reliant on it. They compared technology to people texting and driving and to smokers. It said that technology is just as bad as those things and that people do not ever really notice that’s its bad for us until something major happens. It is hard to get someone to stop certain behaviors that they are used to doing all the time. It is something that we get used to using all the time. Everywhere we go, we use some kind of technology, whether it’s from our phone, or computer. Technology is everywhere around us. The video points out how it takes people a while for reality to hit them in the face. You do not know the negative effects of something until one thing happens, and people will not know that they should not always rely on technology for things because soon they will not know how to do anything on their own.
Another thing that the video points out is some peoples relationships with one another are being strengthened or destroyed. Strengthened because some people will find love over the internet and destroyed because there is always drama that happens over the internet or it is taking away family time from some homes. The lady in the beginning of the videos family was very technology prone. Her husband and son were sitting across from each other and they were both on their laptops. Her two youngest children were in the living room taking selfies on her phone and on the computer. This reminded me of my family because every last person in the house has an electronic device of their own. Even the babies have something. There are tablets that are available for children at younger ages that are used as learning devices and as a gaming device. A lot of learning is done through technology.

Attached: materials data.
'''
For ErZn5, a DFT-relaxed cell (GGA-PBE, the Materials Project) gives the simulated powder diffractogram in this record (Cu Kα, 1.54184 Å).
Peak positions follow from Bragg's law for the DFT cell and can differ from measured ones.

Crystal structure
Unit cell a=8.8761 b=8.8761 c=9.0335 alpha=90.00 beta=90.00 gamma=120.00
Positions (direct):
Er1 0.1894 0.3789 0.2500
Er2 0.1894 0.8106 0.2500
Er3 0.3789 0.1894 0.7500
Er4 0.6211 0.8106 0.2500
Er5 0.8106 0.1894 0.7500
Er6 0.8106 0.6211 0.7500
Zn1 0.0000 0.0000 0.0000
Zn2 0.0000 0.0000 0.5000
Zn3 0.0000 0.5000 0.0000
Zn4 0.0000 0.5000 0.5000
Zn5 0.1354 0.5677 0.7500
Zn6 0.1605 0.3209 0.5928
Zn7 0.1605 0.3209 0.9072
Zn8 0.1605 0.8395 0.5928
Zn9 0.1605 0.8395 0.9072
Zn10 0.3209 0.1605 0.0928
Zn11 0.3209 0.1605 0.4072
Zn12 0.3333 0.6667 0.0193
Zn13 0.3333 0.6667 0.4807
Zn14 0.4323 0.5677 0.7500
Zn15 0.4323 0.8646 0.7500
Zn16 0.5000 0.0000 0.0000
Zn17 0.5000 0.0000 0.5000
Zn18 0.5000 0.5000 0.0000
Zn19 0.5000 0.5000 0.5000
Zn20 0.5677 0.1354 0.2500
Zn21 0.5677 0.4323 0.2500
Zn22 0.6667 0.3333 0.5193
Zn23 0.6667 0.3333 0.9807
Zn24 0.6791 0.8395 0.5928
Zn25 0.6791 0.8395 0.9072
Zn26 0.8395 0.1605 0.0928
Zn27 0.8395 0.1605 0.4072
Zn28 0.8395 0.6791 0.0928
Zn29 0.8395 0.6791 0.4072
Zn30 0.8646 0.4323 0.2500

The 6 most intense peaks (2θ = 15–90°), in order of falling intensity:
Position (°2θ)	intensity
38.0	100
40.7	82
36.4	36
30.5	20
72.2	19
36.8	19

---

For ErZr, a DFT-relaxed cell (GGA-PBE, the Materials Project) gives the simulated powder diffractogram in this record (Cu Kα, 1.54184 Å).
Peak positions follow from Bragg's law for the DFT cell and can differ from measured ones.

Crystal structure
Unit cell a=3.3987 b=3.3987 c=5.3388 alpha=90.00 beta=90.00 gamma=120.00
Positions (direct):
Er1 0.0000 0.0000 0.0000
Zr1 0.6667 0.3333 0.5000

The 6 most intense peaks (2θ = 15–90°), in order of falling intensity:
Position (°2θ)	intensity
34.8	100
30.4	29
33.6	24
65.1	21
60.8	20
45.9	19

---

For Eu, a DFT-relaxed cell (GGA-PBE, the Materials Project) gives the simulated powder diffractogram in this record (Cu Kα, 1.54184 Å).
Peak positions follow from Bragg's law for the DFT cell and can differ from measured ones.

Crystal structure
Unit cell a=3.8819 b=3.8819 c=6.4195 alpha=90.00 beta=90.00 gamma=121.00
Positions (direct):
Eu1 0.1504 0.8496 0.7500
Eu2 0.8496 0.1504 0.2500

The 6 most intense peaks (2θ = 15–90°), in order of falling intensity:
Position (°2θ)	intensity
30.3	100
29.9	71
27.8	47
26.8	35
39.0	26
55.3	25

---

For Eu, a DFT-relaxed cell (GGA-PBE, the Materials Project) gives the simulated powder diffractogram in this record (Cu Kα, 1.54184 Å).
Peak positions follow from Bragg's law for the DFT cell and can differ from measured ones.

Crystal structure
Unit cell a=4.0507 b=4.0507 c=6.5138 alpha=90.00 beta=90.00 gamma=120.00
Positions (direct):
Eu1 0.3333 0.6667 0.2500
Eu2 0.6667 0.3333 0.7500

The 6 most intense peaks (2θ = 15–90°), in order of falling intensity:
Position (°2θ)	intensity
28.9	100
'''


  1. I think its strange that they compared technology to smoking, only because smoking can lead to lung cancers. Technology has not been proven to be that bad.

  2. The document made an interesting point by incorporating how people are so technology dependent that they will focus so much on what they are doing online that they do not take care of themselves. I think that technology is not all the way bad it is the over use of it that makes it bad possibly?
